Game Rules-Sic Bo

Sic Bo also known as big and small. The gameplay basically is guessing how the dice are going to end up. This a popular game as it offers a variety of betting options and attractive odds.

How to win:
In order to win, the bet placed by the player must match with the outcomes of rolling 3-dice.

How to place bet & Betting Odds:
1. At the beginning of a new round, you may place your bet based on your choices.
2. When the bet timer reaches 0, the Dealer will press the button to punch the ‘Dice Shaker’ to roll the dices with the puncher.
3. After the dice rested, the Dealer will key-in the winning dices number and the interface will show with the winning bets and odds with lights to determine the game result.
4. If any of the dices is slanting or leaned in the jar or any of the dices is resting on top of another dices, the game is considered as a void game. All the bets will be refunded to the player and a new game will continue.

Game Rules:
Place the chip on the different sections of the betting area, and each section represents a possible combination of dice. You can place on any slots. However, there is a time limit for placing bets.

Betting Odds:

Big/Small Big: Total sum points from 11 to 17. Small: Total sum points from 4 to 10. (When any ‘Triple’ dices is drawn, betting on Big and Small is considered as losing bet) 1 :1
Straight “Triple” One of the specific “Triple” identical dices 1 :150
Any “Triple” Any of the “Triple” identical dices from the group of six “Triple” 1 :24

Bet on a single number:

Single Dice The specific number appears on one dice 1 : 1
Double Dice The specific number appears on two dices 1 : 2
Triple Dice The specific number appears on all three dices
Double The specific number appears on two dices (e.g.: double 1), at least two of the dice will land on the chosen number 1 : 8
Two Dice Combination The combination of two specific dice, there are 15 possible combinations (e.g.: 1, 2) 1 : 5

Total sum combination of 3 dices:

4 or 17 points Total sum combination of 4 or 17 1 : 50
5 or 16 points Total sum combination of 5 or 16 1 : 18
6 or 15 points Total sum combination of 6 or 15 1 : 14
7 or 14 points Total sum combination of 7 or 14 1 : 12
8 or 13 points Total sum combination of 8 or 13 1 : 8
9, 10, 11 or 12 points Total sum combination of 9, 10, 11 or 12 1 : 6

Total sum combination of 3 dices:

Odd Total sum combination of 5, 7, 9, 11, 13, 15, 17 1 : 1
Even Total sum combination of 4, 6, 8, 10, 12, 14, 16 1 : 1

What comes next are molecular data, not part of the piece.
=====
#1
{"formula": "C2H10NO2", "method": "wB97M-V/def2-TZVPD", "total_charge": 1, "gap_ev": 4.36, "symbols": ["C", "C", "N", "H", "H", "H", "H", "H", "H", "H", "H", "O", "H", "H", "O"], "coordinates": [[1.587, -0.709, -0.707], [2.014, 0.598, -0.740], [-1.920, 0.799, -1.123], [1.800, -1.434, -1.475], [2.556, 0.974, -1.603], [1.959, 1.189, 0.165], [-2.761, 1.220, -0.729], [-1.958, 0.681, -2.124], [-1.571, 0.003, -0.550], [-0.051, 1.166, 2.171], [-0.450, -0.279, 1.207], [0.231, 0.291, 1.821], [-1.590, -1.791, 0.881], [0.862, -0.910, 0.074], [-1.111, -1.060, 0.454]], "lowdin_charge": [0.128, 0.131, 0.278, 0.095, 0.088, 0.076, 0.092, 0.079, -0.026, 0.091, -0.048, -0.026, 0.101, 0.022, -0.081]}

***

#2
{"formula": "C2H10NO2", "method": "wB97M-V/def2-TZVPD", "total_charge": 1, "gap_ev": 11.76, "symbols": ["C", "C", "N", "H", "H", "H", "H", "H", "H", "H", "H", "O", "H", "H", "O"], "coordinates": [[-0.113, -0.320, -1.536], [-0.123, -1.506, -2.208], [0.746, -0.202, -0.191], [-0.767, 0.573, -1.637], [-0.748, -1.537, -3.149], [0.534, -2.329, -2.275], [1.449, -1.023, -0.170], [0.005, -0.259, 0.584], [1.016, 0.822, -0.134], [0.409, 2.827, 2.163], [1.688, 2.682, 1.260], [0.795, 2.337, 1.335], [-2.342, -0.290, 1.834], [-1.166, -1.257, 2.334], [-1.383, -0.518, 1.791]], "lowdin_charge": [-0.082, 0.055, 0.143, 0.129, 0.099, 0.057, 0.197, 0.101, 0.129, 0.126, 0.040, -0.095, 0.098, 0.046, -0.040]}

***

Most stable = #2

***

#1
{"formula": "C2H5BrS", "method": "wB97M-V/def2-TZVPD", "gap_ev": 10.08, "symbols": ["C", "C", "S", "Br", "H", "H", "H", "H", "H"], "coordinates": [[0.890, -0.035, -0.439], [-0.307, -0.414, 0.425], [-1.994, -0.138, -0.267], [-0.211, 0.623, 2.064], [0.963, 1.060, -0.750], [1.916, 0.014, 0.059], [0.937, -0.711, -1.423], [-0.261, -1.601, 0.760], [-1.932, 1.203, -0.429]], "lowdin_charge": [-0.281, -1.164, 0.610, 0.583, 0.078, 0.076, 0.114, 0.115, -0.132]}

***

#2
{"formula": "C2H5BrS", "method": "wB97M-V/def2-TZVPD", "smiles": "C[C@H](S)Br", "gap_ev": 9.27, "symbols": ["C", "C", "S", "Br", "H", "H", "H", "H", "H"], "coordinates": [[0.650, 0.830, -0.221], [-0.229, 0.029, 0.660], [0.203, -2.028, -0.170], [-2.111, 0.255, 0.025], [1.759, 0.502, 0.060], [0.541, 0.682, -1.230], [0.392, 1.808, 0.034], [-0.310, -0.156, 1.777], [-0.896, -1.921, -0.935]], "lowdin_charge": [-0.281, -0.757, 0.457, 0.557, 0.130, 0.031, 0.045, 0.066, -0.248]}

***

Most stable = #1

***

#1
=====

1. There is minimum and maximum bet limit for the game and also personal bet limit. Player may place bet according to the personal limit. However, the player must meet the minimum bet limit of the gameplay. If you need adjust the personal limit, kindly contact our Customer Service.
2. When the dealer dealing cards, there is certain occasion the system is not able to read the situation, therefore the dealer will rescan until the system can completely read the situation (If error occurs, all relevant bets/odds will be cancelled).
3. In the case of wrong calculation, recalculation will be done according to the actual video.